-- Material --
<<<
Entry 1:
VASP calculation (PBE) on an optimized crystal structure of Gd3Ta3Re2N12.

Cell lengths 11.1064, 11.1064, 11.1064 Å; angles 109.47, 109.47, 109.47 degrees
Sites, in units of the cell vectors:
Gd 0.1250 0.2500 0.3750
Gd 0.1250 0.3750 0.7500
Gd 0.2500 0.3750 0.1250
Gd 0.2500 0.8750 0.6250
Gd 0.3750 0.1250 0.2500
Gd 0.3750 0.7500 0.1250
Gd 0.6250 0.2500 0.8750
Gd 0.6250 0.8750 0.7500
Gd 0.7500 0.1250 0.3750
Gd 0.7500 0.6250 0.8750
Gd 0.8750 0.6250 0.2500
Gd 0.8750 0.7500 0.6250
Ta 0.1250 0.7500 0.8750
Ta 0.1250 0.8750 0.2500
Ta 0.2500 0.1250 0.8750
Ta 0.2500 0.6250 0.3750
Ta 0.3750 0.2500 0.6250
Ta 0.3750 0.6250 0.7500
Ta 0.6250 0.3750 0.2500
Ta 0.6250 0.7500 0.3750
Ta 0.7500 0.3750 0.6250
Ta 0.7500 0.8750 0.1250
Ta 0.8750 0.1250 0.7500
Ta 0.8750 0.2500 0.1250
Re 0.0000 0.0000 0.0000
Re 0.0000 0.0000 0.5000
Re 0.0000 0.5000 0.0000
Re 0.0000 0.5000 0.5000
Re 0.5000 0.0000 0.0000
Re 0.5000 0.0000 0.5000
Re 0.5000 0.5000 0.0000
Re 0.5000 0.5000 0.5000
N 0.0223 0.1975 0.1155
N 0.0223 0.3248 0.9067
N 0.0820 0.6975 0.6752
N 0.0820 0.8845 0.4067
N 0.0933 0.6155 0.4180
N 0.0933 0.9777 0.6752
N 0.1155 0.0223 0.1975
N 0.1155 0.5933 0.9180
N 0.1752 0.1975 0.5820
N 0.1752 0.4777 0.5933
N 0.1975 0.1155 0.0223
N 0.1975 0.5820 0.1752
N 0.3025 0.3248 0.9180
N 0.3025 0.4777 0.3845
N 0.3248 0.9067 0.0223
N 0.3248 0.9180 0.3025
N 0.3845 0.3025 0.4777
N 0.3845 0.5820 0.9067
N 0.4067 0.0820 0.8845
N 0.4067 0.8248 0.5223
N 0.4180 0.0933 0.6155
N 0.4180 0.8248 0.8025
N 0.4777 0.3845 0.3025
N 0.4777 0.5933 0.1752
N 0.5223 0.4067 0.8248
N 0.5223 0.6155 0.6975
N 0.5820 0.1752 0.1975
N 0.5820 0.9067 0.3845
N 0.5933 0.1752 0.4777
N 0.5933 0.9180 0.1155
N 0.6155 0.4180 0.0933
N 0.6155 0.6975 0.5223
N 0.6752 0.0820 0.6975
N 0.6752 0.0933 0.9777
N 0.6975 0.5223 0.6155
N 0.6975 0.6752 0.0820
N 0.8025 0.4180 0.8248
N 0.8025 0.8845 0.9777
N 0.8248 0.5223 0.4067
N 0.8248 0.8025 0.4180
N 0.8845 0.4067 0.0820
N 0.8845 0.9777 0.8025
N 0.9067 0.0223 0.3248
N 0.9067 0.3845 0.5820
N 0.9180 0.1155 0.5933
N 0.9180 0.3025 0.3248
N 0.9777 0.6752 0.0933
N 0.9777 0.8025 0.8845

Results
Density, g cm⁻³: 9.8
SG: No. 230
Final energy, eV per atom: -9.500

Entry 2:
VASP calculation (PBE) on an optimized crystal structure of Gd3Re3W2N12.

Cell lengths 11.0411, 11.0411, 11.0411 Å; angles 109.47, 109.47, 109.47 degrees
Sites, in units of the cell vectors:
Gd 0.1250 0.2500 0.3750
Gd 0.1250 0.3750 0.7500
Gd 0.2500 0.3750 0.1250
Gd 0.2500 0.8750 0.6250
Gd 0.3750 0.1250 0.2500
Gd 0.3750 0.7500 0.1250
Gd 0.6250 0.2500 0.8750
Gd 0.6250 0.8750 0.7500
Gd 0.7500 0.1250 0.3750
Gd 0.7500 0.6250 0.8750
Gd 0.8750 0.6250 0.2500
Gd 0.8750 0.7500 0.6250
Re 0.1250 0.7500 0.8750
Re 0.1250 0.8750 0.2500
Re 0.2500 0.1250 0.8750
Re 0.2500 0.6250 0.3750
Re 0.3750 0.2500 0.6250
Re 0.3750 0.6250 0.7500
Re 0.6250 0.3750 0.2500
Re 0.6250 0.7500 0.3750
Re 0.7500 0.3750 0.6250
Re 0.7500 0.8750 0.1250
Re 0.8750 0.1250 0.7500
Re 0.8750 0.2500 0.1250
W 0.0000 0.0000 0.0000
W 0.0000 0.0000 0.5000
W 0.0000 0.5000 0.0000
W 0.0000 0.5000 0.5000
W 0.5000 0.0000 0.0000
W 0.5000 0.0000 0.5000
W 0.5000 0.5000 0.0000
W 0.5000 0.5000 0.5000
N 0.0175 0.1991 0.1161
N 0.0175 0.3184 0.9013
N 0.0830 0.6991 0.6816
N 0.0830 0.8839 0.4013
N 0.0987 0.6161 0.4170
N 0.0987 0.9825 0.6816
N 0.1161 0.0175 0.1991
N 0.1161 0.5987 0.9170
N 0.1816 0.1991 0.5830
N 0.1816 0.4825 0.5987
N 0.1991 0.1161 0.0175
N 0.1991 0.5830 0.1816
N 0.3009 0.3184 0.9170
N 0.3009 0.4825 0.3839
N 0.3184 0.9013 0.0175
N 0.3184 0.9170 0.3009
N 0.3839 0.3009 0.4825
N 0.3839 0.5830 0.9013
N 0.4013 0.0830 0.8839
N 0.4013 0.8184 0.5175
N 0.4170 0.0987 0.6161
N 0.4170 0.8184 0.8009
N 0.4825 0.3839 0.3009
N 0.4825 0.5987 0.1816
N 0.5175 0.4013 0.8184
N 0.5175 0.6161 0.6991
N 0.5830 0.1816 0.1991
N 0.5830 0.9013 0.3839
N 0.5987 0.1816 0.4825
N 0.5987 0.9170 0.1161
N 0.6161 0.4170 0.0987
N 0.6161 0.6991 0.5175
N 0.6816 0.0830 0.6991
N 0.6816 0.0987 0.9825
N 0.6991 0.5175 0.6161
N 0.6991 0.6816 0.0830
N 0.8009 0.4170 0.8184
N 0.8009 0.8839 0.9825
>>>

-- What to do --
Count the lines further above that contain the word "SG" and give the number alone.

-- Done --
1